File =
____________
Structure and theoretical X-ray powder pattern of Na4CoMo3O12 (a DFT-relaxed cell (PBE+U, the Materials Project); Cu Ka).
Peak positions follow from Bragg's law for the DFT cell and can differ from measured ones.

```
data_Na4CoMo3O12
_chemical_formula_sum 'Na16 Co4 Mo12 O48'
_symmetry_space_group_name_H-M 'C 1 2 1'
_symmetry_Int_Tables_number 5
_symmetry_space_group_name_Hall 'C 2y'
_cell_length_a 12.8042
_cell_length_b 13.7682
_cell_length_c 7.2801
_cell_angle_alpha 90.00
_cell_angle_beta 112.45
_cell_angle_gamma 90.00
loop_
_atom_site_label
_atom_site_type_symbol
_atom_site_fract_x
_atom_site_fract_y
_atom_site_fract_z
Na1 Na 0.0000 0.0000 0.0000
Na2 Na 0.0000 0.0204 0.5000
Na3 Na 0.0000 0.2751 0.0000
Na4 Na 0.0000 0.7450 0.5000
Na5 Na 0.0006 0.5122 0.7497
Na6 Na 0.2133 0.1678 0.8741
Co1 Co 0.2157 0.8466 0.3750
Mo1 Mo 0.0000 0.2963 0.5000
Mo2 Mo 0.0000 0.7302 0.0000
Mo3 Mo 0.2310 0.9008 0.8709
Mo4 Mo 0.2335 0.1180 0.3750
O1 O 0.0304 0.2208 0.7130
O2 O 0.0517 0.8047 0.2269
O3 O 0.0978 0.6474 0.9696
O4 O 0.1151 0.3783 0.5170
O5 O 0.1211 0.5964 0.5740
O6 O 0.1229 0.4293 0.0612
O7 O 0.1456 0.0084 0.8345
O8 O 0.1594 0.0022 0.3583
O9 O 0.1654 0.1776 0.1425
O10 O 0.1771 0.8368 0.6354
O11 O 0.2161 0.8353 0.0746
O12 O 0.2263 0.1953 0.5716
```

Most intense lines, 10 to 90 degrees two-theta, sorted by position:
2θ 18.63, d 4.762, I = 37
2θ 20.36, d 4.361, I = 32
2θ 23.04, d 3.860, I = 53
2θ 25.44, d 3.501, I = 62
2θ 28.27, d 3.157, I = 36
2θ 30.03, d 2.975, I = 100
2θ 30.21, d 2.958, I = 42
2θ 31.48, d 2.842, I = 37

---

Structure and theoretical X-ray powder pattern of Li3Mn4O8 (a DFT-relaxed cell (PBE+U, the Materials Project); Cu Ka).
Peak positions follow from Bragg's law for the DFT cell and can differ from measured ones.

```
data_Li3Mn4O8
_chemical_formula_sum 'Li3 Mn4 O8'
_symmetry_space_group_name_H-M 'P -1'
_symmetry_Int_Tables_number 2
_symmetry_space_group_name_Hall '-P 1'
_cell_length_a 5.7798
_cell_length_b 5.8121
_cell_length_c 6.0546
_cell_angle_alpha 118.47
_cell_angle_beta 118.10
_cell_angle_gamma 90.29
loop_
_atom_site_label
_atom_site_type_symbol
_atom_site_fract_x
_atom_site_fract_y
_atom_site_fract_z
Li1 Li 0.0000 0.0000 0.0000
Li2 Li 0.0000 0.5000 0.0000
Li3 Li 0.5000 0.0000 0.5000
Mn1 Mn 0.0000 0.5000 0.5000
Mn2 Mn 0.5000 0.0000 0.0000
Mn3 Mn 0.5000 0.5000 0.0000
Mn4 Mn 0.5000 0.5000 0.5000
O1 O 0.2527 0.2742 0.4945
O2 O 0.2526 0.7204 0.4949
O3 O 0.2814 0.7564 0.0116
O4 O 0.2970 0.2813 0.0619
```

Most intense lines, 10 to 90 degrees two-theta, sorted by position:
2θ 18.20, d 4.875, I = 100
2θ 18.30, d 4.847, I = 18
2θ 33.70, d 2.660, I = 17
2θ 36.11, d 2.488, I = 13
2θ 40.22, d 2.242, I = 34
2θ 44.08, d 2.054, I = 25
2θ 44.32, d 2.044, I = 25
2θ 61.25, d 1.513, I = 15

---

Structure and theoretical X-ray powder pattern of LiV6O7F5 (a DFT-relaxed cell (PBE+U, the Materials Project); Cu Ka).
Peak positions follow from Bragg's law for the DFT cell and can differ from measured ones.

```
data_LiV6O7F5
_chemical_formula_sum 'Li1 V6 O7 F5'
_symmetry_space_group_name_H-M 'P 1'
_symmetry_Int_Tables_number 1
_symmetry_space_group_name_Hall 'P 1'
_cell_length_a 4.8972
_cell_length_b 5.6718
_cell_length_c 7.8364
_cell_angle_alpha 84.69
_cell_angle_beta 88.27
_cell_angle_gamma 87.12
loop_
_atom_site_label
_atom_site_type_symbol
_atom_site_fract_x
_atom_site_fract_y
_atom_site_fract_z
Li1 Li 0.0000 0.0000 0.0000
V1 V 0.0260 0.9504 0.5659
V2 V 0.0603 0.3139 0.2364
V3 V 0.4900 0.4208 0.5677
V4 V 0.4962 0.7660 0.2354
V5 V 0.4980 0.1097 0.8746
V6 V 0.9422 0.5659 0.8916
O1 O 0.1879 0.2933 0.9872
O2 O 0.1892 0.9850 0.3231
O3 O 0.3074 0.1341 0.6517
O4 O 0.3250 0.4892 0.3394
O5 O 0.6807 0.4004 0.7851
O6 O 0.8104 0.5757 0.1353
O7 O 0.8200 0.9042 0.7994
F1 F 0.1887 0.6285 0.6679
F2 F 0.3100 0.8008 0.9923
F3 F 0.6819 0.0709 0.1203
F4 F 0.6977 0.7404 0.4726
F5 F 0.8166 0.2487 0.4613
```

Most intense lines, 10 to 90 degrees two-theta, sorted by position:
2θ 25.31, d 3.519, I = 100
2θ 26.80, d 3.327, I = 100
____________
Activity =
Print the notes earlier on character by character, please.
Completed =
Structure and theoretical X-ray powder pattern of Na4CoMo3O12 (a DFT-relaxed cell (PBE+U, the Materials Project); Cu Ka).
Peak positions follow from Bragg's law for the DFT cell and can differ from measured ones.

```
data_Na4CoMo3O12
_chemical_formula_sum 'Na16 Co4 Mo12 O48'
_symmetry_space_group_name_H-M 'C 1 2 1'
_symmetry_Int_Tables_number 5
_symmetry_space_group_name_Hall 'C 2y'
_cell_length_a 12.8042
_cell_length_b 13.7682
_cell_length_c 7.2801
_cell_angle_alpha 90.00
_cell_angle_beta 112.45
_cell_angle_gamma 90.00
loop_
_atom_site_label
_atom_site_type_symbol
_atom_site_fract_x
_atom_site_fract_y
_atom_site_fract_z
Na1 Na 0.0000 0.0000 0.0000
Na2 Na 0.0000 0.0204 0.5000
Na3 Na 0.0000 0.2751 0.0000
Na4 Na 0.0000 0.7450 0.5000
Na5 Na 0.0006 0.5122 0.7497
Na6 Na 0.2133 0.1678 0.8741
Co1 Co 0.2157 0.8466 0.3750
Mo1 Mo 0.0000 0.2963 0.5000
Mo2 Mo 0.0000 0.7302 0.0000
Mo3 Mo 0.2310 0.9008 0.8709
Mo4 Mo 0.2335 0.1180 0.3750
O1 O 0.0304 0.2208 0.7130
O2 O 0.0517 0.8047 0.2269
O3 O 0.0978 0.6474 0.9696
O4 O 0.1151 0.3783 0.5170
O5 O 0.1211 0.5964 0.5740
O6 O 0.1229 0.4293 0.0612
O7 O 0.1456 0.0084 0.8345
O8 O 0.1594 0.0022 0.3583
O9 O 0.1654 0.1776 0.1425
O10 O 0.1771 0.8368 0.6354
O11 O 0.2161 0.8353 0.0746
O12 O 0.2263 0.1953 0.5716
```

Most intense lines, 10 to 90 degrees two-theta, sorted by position:
2θ 18.63, d 4.762, I = 37
2θ 20.36, d 4.361, I = 32
2θ 23.04, d 3.860, I = 53
2θ 25.44, d 3.501, I = 62
2θ 28.27, d 3.157, I = 36
2θ 30.03, d 2.975, I = 100
2θ 30.21, d 2.958, I = 42
2θ 31.48, d 2.842, I = 37

---

Structure and theoretical X-ray powder pattern of Li3Mn4O8 (a DFT-relaxed cell (PBE+U, the Materials Project); Cu Ka).
Peak positions follow from Bragg's law for the DFT cell and can differ from measured ones.

```
data_Li3Mn4O8
_chemical_formula_sum 'Li3 Mn4 O8'
_symmetry_space_group_name_H-M 'P -1'
_symmetry_Int_Tables_number 2
_symmetry_space_group_name_Hall '-P 1'
_cell_length_a 5.7798
_cell_length_b 5.8121
_cell_length_c 6.0546
_cell_angle_alpha 118.47
_cell_angle_beta 118.10
_cell_angle_gamma 90.29
loop_
_atom_site_label
_atom_site_type_symbol
_atom_site_fract_x
_atom_site_fract_y
_atom_site_fract_z
Li1 Li 0.0000 0.0000 0.0000
Li2 Li 0.0000 0.5000 0.0000
Li3 Li 0.5000 0.0000 0.5000
Mn1 Mn 0.0000 0.5000 0.5000
Mn2 Mn 0.5000 0.0000 0.0000
Mn3 Mn 0.5000 0.5000 0.0000
Mn4 Mn 0.5000 0.5000 0.5000
O1 O 0.2527 0.2742 0.4945
O2 O 0.2526 0.7204 0.4949
O3 O 0.2814 0.7564 0.0116
O4 O 0.2970 0.2813 0.0619
```

Most intense lines, 10 to 90 degrees two-theta, sorted by position:
2θ 18.20, d 4.875, I = 100
2θ 18.30, d 4.847, I = 18
2θ 33.70, d 2.660, I = 17
2θ 36.11, d 2.488, I = 13
2θ 40.22, d 2.242, I = 34
2θ 44.08, d 2.054, I = 25
2θ 44.32, d 2.044, I = 25
2θ 61.25, d 1.513, I = 15

---

Structure and theoretical X-ray powder pattern of LiV6O7F5 (a DFT-relaxed cell (PBE+U, the Materials Project); Cu Ka).
Peak positions follow from Bragg's law for the DFT cell and can differ from measured ones.

```
data_LiV6O7F5
_chemical_formula_sum 'Li1 V6 O7 F5'
_symmetry_space_group_name_H-M 'P 1'
_symmetry_Int_Tables_number 1
_symmetry_space_group_name_Hall 'P 1'
_cell_length_a 4.8972
_cell_length_b 5.6718
_cell_length_c 7.8364
_cell_angle_alpha 84.69
_cell_angle_beta 88.27
_cell_angle_gamma 87.12
loop_
_atom_site_label
_atom_site_type_symbol
_atom_site_fract_x
_atom_site_fract_y
_atom_site_fract_z
Li1 Li 0.0000 0.0000 0.0000
V1 V 0.0260 0.9504 0.5659
V2 V 0.0603 0.3139 0.2364
V3 V 0.4900 0.4208 0.5677
V4 V 0.4962 0.7660 0.2354
V5 V 0.4980 0.1097 0.8746
V6 V 0.9422 0.5659 0.8916
O1 O 0.1879 0.2933 0.9872
O2 O 0.1892 0.9850 0.3231
O3 O 0.3074 0.1341 0.6517
O4 O 0.3250 0.4892 0.3394
O5 O 0.6807 0.4004 0.7851
O6 O 0.8104 0.5757 0.1353
O7 O 0.8200 0.9042 0.7994
F1 F 0.1887 0.6285 0.6679
F2 F 0.3100 0.8008 0.9923
F3 F 0.6819 0.0709 0.1203
F4 F 0.6977 0.7404 0.4726
F5 F 0.8166 0.2487 0.4613
```

Most intense lines, 10 to 90 degrees two-theta, sorted by position:
2θ 25.31, d 3.519, I = 100
2θ 26.80, d 3.327, I = 100